I'm an FAL owner.........again! (Just a bit excited about it too)


New member
Actually twice! I've been missing my FAL since trading it to another loving home last year and have been just looking for the opportunity to get a hold of one again. That opportunity came last week in the form of a sealed auction.

I bid on a total of 4 guns in the auction and came away with 3 for prices that would make you cry with envy so I won't mention them. (AHH! I can't help it, spent under a grand all told! :D :eek: :D ) The results were 2 metric Century Arms L1A1s in 98%+ condition with B-square scope mounts (post ban configuration and the receivers are stamped CIA & L1A1, but I don't know who the manufacturer was yet), 15 twenty round magazines, a rifle case, and a pre-ban Norinco NHM91 (AK variation) in LNIB condition with all the accessories. I doubt that all three rifles have fired a hundred rounds between them.

Sorry about the braggin' bit, but I realize how lucky I was to get these rifles. Opportunities like that don't come along every day! I'm going to have to sell one of them to a friend of mine to defray my costs, but the other two will be my shooters. Hey, George, when's the next Utah TFL shoot? Bragging about these babys ain't enough, I gotta show 'em off too!


New member
Congrats yorec!
I too am waiting on the opportunity to grab another one. I sure do miss mine which I had to sell several years ago.

On another note, I went to the last gun show looking for just the "right" one (FN Heavy barrel version). Didn't find it, so I just bought me a new Harley instead. :D

Materials data, as found in the file:
~~~
Record 1
AcEr4Tl4: optimized geometry, PBE.

a b c (Å): 6.1233 10.0502 10.0502
angles (deg): 90.00 90.00 90.00
Sites, in units of the cell vectors:
Ac: 0.0000 0.0000 0.0000
Ac: 0.5000 0.5000 0.5000
Er: 0.3989 0.3467 0.8912
Er: 0.8989 0.6088 0.8467
Er: 0.3989 0.6533 0.1088
Er: 0.1011 0.1533 0.6088
Er: 0.6011 0.8912 0.6533
Er: 0.1011 0.8467 0.3912
Er: 0.8989 0.3912 0.1533
Er: 0.6011 0.1088 0.3467
Tl: 0.5922 0.8028 0.3526
Tl: 0.5922 0.1972 0.6474
Tl: 0.0922 0.8526 0.6972
Tl: 0.9078 0.3028 0.8526
Tl: 0.9078 0.6972 0.1474
Tl: 0.4078 0.3526 0.1972
Tl: 0.4078 0.6474 0.8028
Tl: 0.0922 0.1474 0.3028

E_tot: -3.6188 eV per atom
Fermi-level density of states: 15.94 states/eV/cell
Space group: P4_2/n, No. 86
Magnetization: 0.0 μB per cell



Record 2
AcErTl4: optimized geometry, PBE.

a b c (Å): 6.3555 6.3555 6.3555
angles (deg): 60.00 60.00 60.00
Sites, in units of the cell vectors:
Ac: 0.2500 0.2500 0.2500
Tl: 0.6252 0.6252 0.1243
Tl: 0.6252 0.1243 0.6252
Tl: 0.6252 0.6252 0.6252
Tl: 0.1243 0.6252 0.6252
Er: 0.0000 0.0000 0.0000

E_tot: -3.1138 eV per atom
Fermi-level density of states: 5.37 states/eV/cell
Space group: F-43m, No. 216
ΔE to the lowest computed polymorph: 0.153 eV per atom
Magnetization: 0.0 μB per cell


Entry 1:
{
  "formula": "MnTcW",
  "functional": "PBE-GGA",
  "state": "relaxed",
  "lattice": [[-1.353, 1.353, 5.722], [1.353, -1.353, 5.722], [1.353, 1.353, -5.722]],
  "species": ["Mn", "Tc", "W"],
  "frac_coords": [[0.000, 0.000, 0.000], [0.643, 0.643, 0.000], [0.334, 0.334, 0.000]],
  "volume_a3_per_atom": 13.974,
  "dft_energy_ev_per_atom": -10.692,
  "de_polymorph_mev_per_atom": 38,
  "formation_enthalpy_0k_mev_per_atom": 138,
  "sg": "I4mm (107)",
  "n_ef_per_ev_atom": 1.00
}

Entry 2:
{
  "formula": "MnTc2W",
  "functional": "PBE-GGA",
  "state": "relaxed",
  "lattice": [[2.707, 0.000, 0.000], [0.000, 2.707, 0.000], [0.000, 0.000, 7.732]],
  "species": ["Mn", "Tc", "Tc", "W"],
  "frac_coords": [[0.000, 0.000, 0.000], [0.500, 0.500, 0.220], [0.500, 0.500, 0.780], [0.000, 0.000, 0.500]],
  "volume_a3_per_atom": 14.162,
  "dft_energy_ev_per_atom": -10.570,
  "formation_enthalpy_0k_mev_per_atom": 143,
  "sg": "P4/mmm (123)",
  "n_ef_per_ev_atom": 1.32
}

Entry 3:
{
  "formula": "Mn3TcW",
  "functional": "PBE-GGA",
  "state": "relaxed",
  "lattice": [[4.296, 0.000, 0.000], [0.000, 4.296, 0.000], [0.000, 0.000, 4.296]],
  "species": ["Mn", "Mn", "Mn", "Tc", "W"],
  "frac_coords": [[0.000, 0.000, 0.500], [0.000, 0.500, 0.000], [0.500, 0.000, 0.000], [0.000, 0.000, 0.000], [0.500, 0.500, 0.500]],
  "volume_a3_per_atom": 15.859,
  "dft_energy_ev_per_atom": -8.388,
  "de_polymorph_mev_per_atom": 0,
  "formation_enthalpy_0k_mev_per_atom": 1777,
  "sg": "Pm-3m (221)",
  "n_ef_per_ev_atom": 1.89
}

Entry 4:
{
  "formula": "MnTc2W",
  "functional": "PBE-GGA",
  "state": "relaxed",
  "lattice": [[-3.451, 3.451, 2.543], [3.451, -3.451, 2.543], [3.451, 3.451, -2.543]],
  "species": ["Mn", "Mn", "Tc", "Tc", "Tc", "Tc", "W", "W"],
~~~

Don'cha just hate it when ya got several grand burnin' a hole in your pocket? ;)

They are great rifles though.


New member
yorec, I'm not sure when the next get-together is going to be yet. Send me your e-mail address and I will add you to the Utah TFLer mailing list. George appointed me "Secretary of Utah" :rolleyes: I tried adding your regular e-mail and got an error message.

Congrats on the guns. I love my FAL! ;)


New member
Congrats, had my Century FAL (IMBEL receiver) out on the range two days ago. Check this out. My thing is CQB with shotguns and hanguns and I can't even get a drivers license without a note from my eye doctor. I still shot 4 in groups at 100 yards with mil surplus ammo. I love my FAL. Question, what spare parts do I need? Or should I just buy the S African kit for $100? Happy FAL'en

When guns are outlawed only outlaws will have guns.

George Hill

Staff Alumnus
Lucky &%*#$&%*@$!*!!


Sealed Auctions... Gotta love them.

Next time you have one up there - bid on the Uzi for me ;)

We will probably have one soon enough - no later than March. If you are coming down this way some time - let me know... we can grab a few guy along the way and - hell this is Utah - 10 minutes outta any city and your in good shooting country.

(This time I WONT forget the Chicken!)


New member
George, forgot you were such an Uzi fan. Had a local guy here selling an Uzi pistol last year. He wanted something like $100.00.

:D :D :D
Just kidding, it was a lot more (5X more, that I didn't have :(), sorry 'bout that. I will keep you in mind if I hear of another.